The phrase ‘Net Neutrality’ is a phrase that has been gaining ground for the past couple of months around the world, urging and insisting on the rights of global civilians for the availability and use of free internet. The Net Neutrality provisions coined by the EU parliament last year suggests the refrain of specialized services like ‘fast lanes’ used by telecos to the detriment of the availability and quality of internet access services. Across the Atlantic, on the other side, things took a different turn in the United States when the FCC laid out new rules that let the big cats like Google, Netflix and Disney pay the internet providers a tad more for special fast lane services (Zero Rating) to send video and other content to their customers for free. That being said, which is a more just stand to take?
### These records of crystals were left in the piece by mistake
=====
[1]
Theoretical X-ray diffraction stick pattern of La5Rh for λ = 1.5418 Å (Cu Kα), from a structure optimized by DFT (PBE).
Neutral-atom scattering factors, no anomalous dispersion.

Atomic structure:
```
data_La5Rh
_space_group_name_H-M_alt 'P 4/m m m'
_space_group_IT_number 123
_space_group_name_Hall '-P 4 2'
_cell_length_a 3.6793
_cell_length_b 3.6793
_cell_length_c 14.3945
_cell_angle_alpha 90.00
_cell_angle_beta 90.00
_cell_angle_gamma 90.00
loop_
_atom_site_label
_atom_site_type_symbol
_atom_site_fract_x
_atom_site_fract_y
_atom_site_fract_z
La1 La 0.0000 0.0000 0.0000
La2 La 0.0000 0.0000 0.3842
La3 La 0.5000 0.5000 0.1807
Rh1 Rh 0.5000 0.5000 0.5000
```

Principal peaks in the range 10° ≤ 2θ ≤ 90°, sorted by position:
2θ/deg  I_rel
27.2  17
30.6  100
31.1  13
34.5  52
47.1  17
49.6  18
51.8  8
57.0  11
59.4  30
59.6  8
78.8  9
83.0  8

=====

[2]
Theoretical X-ray diffraction stick pattern of La5Rh4 for λ = 1.5418 Å (Cu Kα), from a structure optimized by DFT (PBE).
Neutral-atom scattering factors, no anomalous dispersion.

Atomic structure:
```
data_La5Rh4
_space_group_name_H-M_alt 'P 63/m c m'
_space_group_IT_number 193
_space_group_name_Hall '-P 6c 2'
_cell_length_a 8.5373
_cell_length_b 8.5373
_cell_length_c 7.2856
_cell_angle_alpha 90.00
_cell_angle_beta 90.00
_cell_angle_gamma 120.00
loop_
_atom_site_label
_atom_site_type_symbol
_atom_site_fract_x
_atom_site_fract_y
_atom_site_fract_z
La1 La 0.0000 0.2585 0.2500
La2 La 0.3333 0.6667 0.0000
Rh1 Rh 0.0000 0.0000 0.0000
Rh2 Rh 0.0000 0.4024 0.7500
```

Principal peaks in the range 10° ≤ 2θ ≤ 90°, sorted by position:
2θ/deg  I_rel
24.4  9
32.3  100
34.4  60
36.5  42
46.0  11
49.5  19
49.7  21
50.1  13
57.1  7
63.0  8
63.5  16
82.6  8

* * * * *

Structure and theoretical powder diffraction line list of LiMnF5 (the PBE+U geometry in Alexandria; Cu Kα).
No peak broadening, texture or thermal motion is included.

Largest 12 diffraction maxima, by angle, 10 to 90 degrees two-theta:
| d_spacing | Rel. int. | (hkl) |
| --- | --- | --- |
| 5.054 | 100 | 0 1 0 |
| 5.026 | 97 | 1 0 0 |
| 4.567 | 54 | 1 -1 0 |
| 3.314 | 56 | 0 1 -2 |
| 3.240 | 25 | 1 0 -2 |
| 3.021 | 11 | 1 1 0 |
| 2.721 | 16 | 1 -1 2 |
| 2.648 | 11 | -1 1 2 |
| 2.366 | 10 | -1 2 1 |
| 1.970 | 12 | 1 2 0 |
| 1.965 | 10 | 2 1 0 |
| 1.753 | 17 | 0 1 -4 |

Cell and atoms:
```
data_LiMnF5
_chemical_formula_sum 'Li2 Mn2 F10'
_symmetry_space_group_name_H-M 'P -1'
_symmetry_Int_Tables_number 2
_symmetry_space_group_name_Hall '-P 1'
_cell_length_a 5.563
_cell_length_b 5.658
_cell_length_c 7.148
_cell_angle_alpha 103.91
_cell_angle_beta 101.03
_cell_angle_gamma 109.07
loop_
_atom_site_label
_atom_site_fract_x
_atom_site_fract_y
_atom_site_fract_z
Li1 0.186 0.315 0.248
Mn1 0.500 0.000 0.000
Mn2 0.500 0.000 0.500
F1 0.146 0.811 0.950
F2 0.227 0.086 0.399
F3 0.271 0.657 0.427
F4 0.424 0.074 0.753
F5 0.460 0.299 0.125
```

* * * * *
=====
Digital Fuel Monitor Data is against Zero Rating, especially with the orchestrated launch of Zero Rated apps over their mobile networks in the EU markets, mainly because it reckons that the same sabotages Net Neutrality. Zero Rating encourages the service providers’ own apps and as well as their partners’, not counting it against the end-user’s data volume, which in a way weakens the idea and purpose of Net Neutrality. News suggests that AT&T in the United States in 2014 flirted with Zero Rating with its then latest launch ‘Sponsored Data’ that allowed developers and brands to pay them for delivering content to consumer smart phones and tablets outside their data caps.
The case isn’t too different if you turn the globe eastward and land the compass on India. With Information Technology making its rocking world go around, the fast developing nation’s people are becoming increasingly aware of the consequences of not having its Net Neutrality in place. This has intensified and propelled especially after a couple of service providers tried roping enterprise biggies such as FlipKart for their Zero Rating idea. There’s a viral awareness spreading at the speed of light in India that screams that Zero Rating propagates price-discrimination and unjustly favors telecoms’ own or their partner’s apps while placing competing apps at a disadvantage.
Although the idea that big companies or brands can get robust amounts of data and slip them into their customers’ hands may sound like a sweet deal at first, it may not just be. This is owing to the reason that the cost of access invariably kicks up for the apps that have not been enrolled with this platform. What’s more critical is that India has a high price-conscious economy, where free offerings gets more eye balls than the converse. The sugarcoated idea of Zero Rating can have adverse affects on budding start-up ecosystems, mainly because a scrappy app developer or a newbie brand may not have the bandwidth to play the game as much as heavily funded players.
What’s more, it could also pave way for a monopolized market, a place where non-level playing field would have no reason to take incentives to innovate or launch better products, which could be the real downfall. The recent uproar against Zero Rating has got over 300,000 emails knocking on the doors of TRAI, urging it to consider Net Neutrality in one of the biggest democracies in the world. Will it work? And if it did, would it be worth it?

**Attached: crystal structures**
+++
Sr5B3BrO9: calculated powder diffraction line list (Cu Ka), based on the GGA-PBE geometry in the Materials Project.

Most intense lines, 2θ from 10° to 90°, low angle first:
Position (°2θ), I (rel.)
23.6, 40.4
29.3, 100.0
30.4, 40.1
31.2, 68.4
32.4, 44.1
32.7, 39.8
34.4, 38.7
50.1, 39.4

Structural model:
```
Sr5B3BrO9
1.0
5.0674 -7.2091 0.0000
5.0674 7.2091 0.0000
0.0000 0.0000 7.6140
Sr B Br O
10 6 2 18
Direct
0.1362 0.8638 0.7500 Sr
0.1366 0.8634 0.2500 Sr
0.2335 0.4942 0.5727 Sr
0.2571 0.2571 0.0000 Sr
0.4942 0.2335 0.4273 Sr
0.5058 0.7665 0.9273 Sr
0.7429 0.7429 0.5000 Sr
0.7665 0.5058 0.0727 Sr
0.8634 0.1366 0.7500 Sr
0.8638 0.1362 0.2500 Sr
0.0900 0.5139 0.9725 B
0.1275 0.1275 0.5000 B
0.4861 0.9100 0.5275 B
0.5139 0.0900 0.0275 B
0.8725 0.8725 0.0000 B
0.9100 0.4861 0.4725 B
0.4413 0.5587 0.2500 Br
0.5587 0.4413 0.7500 Br
0.0111 0.0111 0.0000 O
0.0216 0.6392 0.5132 O
0.0558 0.6529 0.0132 O
0.1895 0.1949 0.6605 O
0.1949 0.1895 0.3395 O
0.2322 0.5258 0.8866 O
0.3471 0.9442 0.4868 O
0.3608 0.9784 0.9868 O
0.4742 0.7678 0.6134 O
0.5258 0.2322 0.1134 O
0.6392 0.0216 0.4868 O
0.6529 0.0558 0.9868 O
0.7678 0.4742 0.3866 O
0.8051 0.8105 0.8395 O
0.8105 0.8051 0.1605 O
0.9442 0.3471 0.5132 O
0.9784 0.3608 0.0132 O
0.9889 0.9889 0.5000 O
```

----------

Diffraction record for Er2FeGe4. The powder diffractogram is calculated, not measured: it uses a cell relaxed with GGA-PBE and Cu Kα X-rays.
Kinematic intensities with the Lorentz-polarization factor, no thermal factor.

Main lines, in order of falling intensity (2θ from 10° to 80°):
Position (°2θ)  I_rel
35.21  1000
43.41  212
43.92  205
36.13  197
41.27  160
34.77  151
24.46  139
63.46  135
74.33  113
31.05  112

Structure:
a = 4.123 Å, b = 8.017 Å, c = 8.017 Å
α = 30.14°, β = 90.00°, γ = 90.00°
Fractional coordinates of all 7 atoms:
1 Er 0.000 0.000 0.000
2 Er 0.500 0.205 0.205
3 Fe 0.000 0.796 0.796
4 Ge 0.000 0.363 0.363
5 Ge 0.000 0.648 0.648
6 Ge 0.500 0.536 0.536
7 Ge 0.500 0.861 0.861

***

Diffraction record for Mg3GaPd3. The powder diffractogram is calculated, not measured: it uses a cell relaxed with GGA-PBE and Cu Kα X-rays.
Kinematic intensities with the Lorentz-polarization factor, no thermal factor.

Main lines, in order of falling intensity (2θ from 10° to 80°):
Position (°2θ)  I_rel
40.33  1000
41.21  940
19.85  675
28.52  345
59.03  317
35.24  315
74.52  311
72.72  167
75.12  152
46.15  146

Structure:
a = 5.385 Å, b = 5.385 Å, c = 5.385 Å
α = 108.89°, β = 108.89°, γ = 108.89°
Fractional coordinates of all 7 atoms:
1 Mg 0.000 0.500 0.500
2 Mg 0.500 0.000 0.500
3 Mg 0.500 0.500 0.000
4 Ga 0.000 0.000 0.000
5 Pd 0.000 0.000 0.500
6 Pd 0.000 0.500 0.000
7 Pd 0.500 0.000 0.000

***

Diffraction record for AcLa2IO4. The powder diffractogram is calculated, not measured: it uses a cell relaxed with GGA-PBE and Cu Kα X-rays.
Kinematic intensities with the Lorentz-polarization factor, no thermal factor.

Main lines, in order of falling intensity (2θ from 10° to 80°):
+++
**Here the entry continues**
Kiran Veigas handles Corporate Marketing at Happiest Minds. He has 14 years of industry experience spanning various roles in Marketing, Strategy, Product Management and Product Development in IT/Telecom. His educational qualifications include Executive Management Program (GMITE – General Management for IT Executives) from IIM-Bangalore and BE in Telecommunications Engineering.